• Exercise:
The reader should transcribe the notes further below unchanged.

• Entries:
........
# MoN2OF (GGA+U, optimized geometry)
data_MoN2OF
_symmetry_space_group_name_H-M 'P 1'
_symmetry_Int_Tables_number 1
_symmetry_space_group_name_Hall 'P 1'
_cell_length_a 4.058
_cell_length_b 4.058
_cell_length_c 3.844
_cell_angle_alpha 90.00
_cell_angle_beta 90.00
_cell_angle_gamma 90.00
loop_
_atom_site_label
_atom_site_type_symbol
_atom_site_fract_x
_atom_site_fract_y
_atom_site_fract_z
Mo1 Mo 0.000 0.000 0.000
N1 N 0.000 0.500 0.000
N2 N 0.500 0.000 0.000
O1 O 0.000 0.000 0.500
F1 F 0.500 0.500 0.500
# magnetization	0.562	μB/atom
# Fermi-level density of states	1.100	states/eV per atom
# raw total energy	-5.66	eV per atom


Version A
DFT (GGA-PBE) results for crystalline MnAl8Cu2 at its relaxed geometry.

Cell: 7.305 7.305 6.212 Å, 105.70 105.70 30.75°
Element x y z (fractional)
Mn (0.000, 0.000, 0.000)
Al (0.097, 0.097, 0.448)
Al (0.180, 0.180, 0.915)
Al (0.358, 0.358, 0.808)
Al (0.456, 0.456, 0.266)
Al (0.544, 0.544, 0.734)
Al (0.642, 0.642, 0.192)
Al (0.820, 0.820, 0.085)
Al (0.903, 0.903, 0.552)
Cu (0.280, 0.280, 0.362)
Cu (0.720, 0.720, 0.638)

Properties
Space-group type: C2/m (12)

---

Version B
DFT (GGA-PBE) results for crystalline MnAl8Cu2 at its relaxed geometry.

Cell: 8.708 8.708 4.883 Å, 105.13 105.13 28.42°
Element x y z (fractional)
Mn (0.000, 0.000, 0.000)
Al (0.080, 0.080, 0.501)
Al (0.149, 0.149, 0.059)
Al (0.254, 0.254, 0.674)
Al (0.461, 0.461, 0.184)
Al (0.539, 0.539, 0.816)
Al (0.746, 0.746, 0.326)
Al (0.851, 0.851, 0.941)
Al (0.920, 0.920, 0.499)
Cu (0.314, 0.314, 0.233)
Cu (0.686, 0.686, 0.767)

Properties
Space-group type: C2/m (12)

---

Result of the stability comparison: version A is the most stable of them.

---

Version A
DFT (GGA-PBE) results for crystalline AlCu3Mo at its relaxed geometry.

Cell: 4.281 4.281 4.281 Å, 90.00 90.00 90.00°
Element x y z (fractional)
Al (0.000, 0.000, 0.000)
Cu (0.000, 0.000, 0.500)
Cu (0.000, 0.500, 0.000)
Cu (0.500, 0.000, 0.000)
Mo (0.500, 0.500, 0.500)

Properties
Space-group type: Pm-3m (221)

---

Version B
DFT (GGA-PBE) results for crystalline AlCu3Mo at its relaxed geometry.

Cell: 4.685 4.685 4.685 Å, 90.00 90.00 90.00°
Element x y z (fractional)
Al (0.000, 0.000, 0.000)
Cu (0.000, 0.500, 0.500)
Cu (0.500, 0.000, 0.500)
Cu (0.500, 0.500, 0.000)
Mo (0.500, 0.500, 0.500)

Properties
Space-group type: Pm-3m (221)

---

Result of the stability comparison: version A is the most stable of them.


Density functional theory data (GGA-PBE) for an optimized crystal structure of Li2CaSe.

The structure in POSCAR format:
```
Li2CaSe
1.0
5.508 0.001 0.000
2.013 5.127 0.000
-3.760 -2.564 3.102
Ca Se Li
1 1 2
Direct
0.750 0.250 0.500
0.500 0.500 0.000
0.000 0.000 0.000
0.250 0.750 0.500
```

Crystal system ... tetragonal
E ... -2.882 eV per atom
Fermi-level density of states ... 1.84 states/eV/f.u.
Formation energy (no corrections) ... -0.553 eV/atom
Symmetry ... No. 119

Density functional theory data (GGA-PBE) for an optimized crystal structure of LiCa5Se6.

The structure in POSCAR format:
```
LiCa5Se6
1.0
7.114 -0.113 -1.341
-3.846 5.986 -1.341
0.140 0.251 7.233
Li Ca Se
1 5 6
Direct
0.000 0.000 0.000
0.333 0.667 0.000
0.667 0.333 0.000
0.500 0.500 0.500
0.834 0.166 0.500
0.166 0.834 0.500
0.917 0.586 0.752
0.248 0.248 0.752
0.586 0.917 0.752
0.414 0.083 0.248
0.083 0.414 0.248
0.752 0.752 0.248
```

Crystal system ... monoclinic
E ... -4.499 eV per atom
Fermi-level density of states ... 6.89 states/eV/f.u.
Formation energy (no corrections) ... -1.763 eV/atom
Symmetry ... No. 12

Density functional theory data (GGA-PBE) for an optimized crystal structure of Li2CaSe.

The structure in POSCAR format:
```
Li2CaSe
1.0
-2.198 3.110 1.589
-2.856 1.899 -2.294
-5.914 -2.335 1.730
Li Ca Se
2 1 1
Direct
0.760 0.760 0.720
0.037 0.037 0.888
0.239 0.239 0.282
0.464 0.464 0.610
```

Crystal system ... trigonal
E ... -3.150 eV per atom
Fermi-level density of states ... 0.64 states/eV/f.u.
Formation energy (no corrections) ... -0.821 eV/atom
Symmetry ... No. 160
........

• Done:
# MoN2OF (GGA+U, optimized geometry)
data_MoN2OF
_symmetry_space_group_name_H-M 'P 1'
_symmetry_Int_Tables_number 1
_symmetry_space_group_name_Hall 'P 1'
_cell_length_a 4.058
_cell_length_b 4.058
_cell_length_c 3.844
_cell_angle_alpha 90.00
_cell_angle_beta 90.00
_cell_angle_gamma 90.00
loop_
_atom_site_label
_atom_site_type_symbol
_atom_site_fract_x
_atom_site_fract_y
_atom_site_fract_z
Mo1 Mo 0.000 0.000 0.000
N1 N 0.000 0.500 0.000
N2 N 0.500 0.000 0.000
O1 O 0.000 0.000 0.500
F1 F 0.500 0.500 0.500
# magnetization	0.562	μB/atom
# Fermi-level density of states	1.100	states/eV per atom
# raw total energy	-5.66	eV per atom


Version A
DFT (GGA-PBE) results for crystalline MnAl8Cu2 at its relaxed geometry.

Cell: 7.305 7.305 6.212 Å, 105.70 105.70 30.75°
Element x y z (fractional)
Mn (0.000, 0.000, 0.000)
Al (0.097, 0.097, 0.448)
Al (0.180, 0.180, 0.915)
Al (0.358, 0.358, 0.808)
Al (0.456, 0.456, 0.266)
Al (0.544, 0.544, 0.734)
Al (0.642, 0.642, 0.192)
Al (0.820, 0.820, 0.085)
Al (0.903, 0.903, 0.552)
Cu (0.280, 0.280, 0.362)
Cu (0.720, 0.720, 0.638)

Properties
Space-group type: C2/m (12)

---

Version B
DFT (GGA-PBE) results for crystalline MnAl8Cu2 at its relaxed geometry.

Cell: 8.708 8.708 4.883 Å, 105.13 105.13 28.42°
Element x y z (fractional)
Mn (0.000, 0.000, 0.000)
Al (0.080, 0.080, 0.501)
Al (0.149, 0.149, 0.059)
Al (0.254, 0.254, 0.674)
Al (0.461, 0.461, 0.184)
Al (0.539, 0.539, 0.816)
Al (0.746, 0.746, 0.326)
Al (0.851, 0.851, 0.941)
Al (0.920, 0.920, 0.499)
Cu (0.314, 0.314, 0.233)
Cu (0.686, 0.686, 0.767)

Properties
Space-group type: C2/m (12)

---

Result of the stability comparison: version A is the most stable of them.

---

Version A
DFT (GGA-PBE) results for crystalline AlCu3Mo at its relaxed geometry.

Cell: 4.281 4.281 4.281 Å, 90.00 90.00 90.00°
Element x y z (fractional)
Al (0.000, 0.000, 0.000)
Cu (0.000, 0.000, 0.500)
Cu (0.000, 0.500, 0.000)
Cu (0.500, 0.000, 0.000)
Mo (0.500, 0.500, 0.500)

Properties
Space-group type: Pm-3m (221)

---

Version B
DFT (GGA-PBE) results for crystalline AlCu3Mo at its relaxed geometry.

Cell: 4.685 4.685 4.685 Å, 90.00 90.00 90.00°
Element x y z (fractional)
Al (0.000, 0.000, 0.000)
Cu (0.000, 0.500, 0.500)
Cu (0.500, 0.000, 0.500)
Cu (0.500, 0.500, 0.000)
Mo (0.500, 0.500, 0.500)

Properties
Space-group type: Pm-3m (221)

---

Result of the stability comparison: version A is the most stable of them.


Density functional theory data (GGA-PBE) for an optimized crystal structure of Li2CaSe.

The structure in POSCAR format:
```
Li2CaSe
1.0
5.508 0.001 0.000
2.013 5.127 0.000
-3.760 -2.564 3.102
Ca Se Li
1 1 2
Direct
0.750 0.250 0.500
0.500 0.500 0.000
0.000 0.000 0.000
0.250 0.750 0.500
```

Crystal system ... tetragonal
E ... -2.882 eV per atom
Fermi-level density of states ... 1.84 states/eV/f.u.
Formation energy (no corrections) ... -0.553 eV/atom
Symmetry ... No. 119

Density functional theory data (GGA-PBE) for an optimized crystal structure of LiCa5Se6.

The structure in POSCAR format:
```
LiCa5Se6
1.0
7.114 -0.113 -1.341
-3.846 5.986 -1.341
0.140 0.251 7.233
Li Ca Se
1 5 6
Direct
0.000 0.000 0.000
0.333 0.667 0.000
0.667 0.333 0.000
0.500 0.500 0.500
0.834 0.166 0.500
0.166 0.834 0.500
0.917 0.586 0.752
0.248 0.248 0.752
0.586 0.917 0.752
0.414 0.083 0.248
0.083 0.414 0.248
0.752 0.752 0.248
```

Crystal system ... monoclinic
E ... -4.499 eV per atom
Fermi-level density of states ... 6.89 states/eV/f.u.
Formation energy (no corrections) ... -1.763 eV/atom
Symmetry ... No. 12

Density functional theory data (GGA-PBE) for an optimized crystal structure of Li2CaSe.

The structure in POSCAR format:
```
Li2CaSe
1.0
-2.198 3.110 1.589
-2.856 1.899 -2.294
-5.914 -2.335 1.730
Li Ca Se
2 1 1
Direct
0.760 0.760 0.720
0.037 0.037 0.888
0.239 0.239 0.282
0.464 0.464 0.610
```

Crystal system ... trigonal
E ... -3.150 eV per atom
Fermi-level density of states ... 0.64 states/eV/f.u.
Formation energy (no corrections) ... -0.821 eV/atom
Symmetry ... No. 160